File =
........
Here is a relaxed BaSrNdWO6 crystal from the Materials Project. Energies are from PBE+U.

```
40
Lattice="-5.187 -3.957 5.604 3.942 -7.460 -1.619 5.582 1.585 6.286" Properties=species:S:1:pos:R:3 pbc="T T T"
Ba 0.000 0.000 0.000
Ba 2.168 -4.916 5.136
Ba -2.594 -1.979 2.802
Ba 2.791 0.793 3.143
Sr 4.762 -2.937 2.334
Sr 0.197 -1.186 5.945
Sr -0.623 -5.709 1.992
Sr 1.971 -3.730 -0.810
Nd 3.242 -7.354 7.701
Nd 3.879 -1.688 5.707
Nd 3.045 -6.171 1.769
Nd -1.493 -4.452 5.366
W 1.102 -2.481 2.564
W 0.450 -8.142 4.571
W 1.290 -3.671 8.506
W 5.831 -5.370 4.901
O 2.360 -1.310 1.487
O -0.487 -9.222 6.010
O -0.185 -4.431 9.672
O 6.985 -4.702 3.373
O -0.104 -0.892 2.925
O 6.758 -7.172 4.843
O 1.359 -9.815 3.876
O 0.660 -1.785 8.899
O 0.125 -2.978 0.875
O 2.544 -3.698 10.081
O 7.149 -4.613 6.223
O -1.145 -8.375 3.364
O -0.172 -3.723 3.563
O 1.297 -7.021 3.090
O 2.845 -2.960 7.391
O 4.704 -5.960 6.497
O 2.402 -3.981 2.239
O 4.900 -3.589 4.828
O -0.418 -6.519 5.383
O 1.789 -5.576 8.092
O 2.028 -1.988 4.283
O 0.064 -3.596 6.910
O 4.502 -6.171 3.619
O 2.080 -7.909 5.730
```

Results
Formation energy in eV/atom: -3.0509
ρ in g/cm³: 6.82
Uncorrected energy in eV/atom: -7.30

Here is a relaxed LiVF3 crystal from the Materials Project. Energies are from PBE+U.

```
10
Lattice="2.325 4.828 2.367 -4.707 0.411 -3.463 -3.507 -0.612 4.694" Properties=species:S:1:pos:R:3 pbc="T T T"
Li -2.649 2.896 3.944
Li -3.240 1.730 -0.346
V -1.754 -0.306 2.347
V 0.000 0.000 0.000
F -2.639 1.073 3.714
F -3.933 3.920 3.118
F -4.513 0.930 -1.402
F -1.375 3.696 5.000
F -1.956 0.707 0.480
F -3.250 3.553 -0.116
```

Results
Formation energy in eV/atom: -2.9729
ρ in g/cm³: 2.18
Uncorrected energy in eV/atom: -5.70

Here is a relaxed Ca4Al3CrSiBO14 crystal from the Materials Project. Energies are from PBE+U.

```
48
Lattice="4.115 -1.289 2.644 -6.396 -5.591 6.916 1.038 -8.864 -6.146" Properties=species:S:1:pos:R:3 pbc="T T T"
Ca 1.480 -10.017 -2.614
Ca -2.236 -8.380 3.917
Ca -0.392 -5.315 2.604
Ca -3.071 -12.543 2.989
Ca -2.495 -5.530 5.938
Ca 1.222 -7.167 -0.593
Ca -1.066 -10.691 0.714
Ca 1.613 -3.463 0.328
Al 0.906 -4.174 6.063
Al 4.622 -5.811 -0.468
Al 1.372 -8.475 3.127
Al 5.089 -10.112 -3.405
Al 0.065 -13.358 2.243
Al 2.744 -6.131 1.858
Cr -5.259 -7.218 4.707
Cr -1.543 -8.854 -1.822
Si 2.394 -3.552 3.591
Si -0.285 -10.780 3.976
B -3.371 -5.662 2.792
B 0.345 -7.299 -3.740
O -3.715 -6.492 4.088
O 0.001 -8.129 -2.444
O 1.989 -4.621 2.411
O -0.690 -11.849 2.796
O 1.001 -3.398 4.464
O -1.678 -10.626 4.849
O -2.360 -6.587 2.105
O 1.357 -8.224 -4.426
O 0.296 -12.982 0.523
O 2.975 -5.754 0.139
........

Activity =
Please count the lines above that contain the word "PBE" and give the number alone.

Written answer =
3